About this project

Many people and communities have come together to carry out this research and contribute to this website. We belong to many spheres of life, from makers to academics, from museum and art gallery workers to botanical gardeners and sustainable land managers, from craft practitioners to trade promoters.

The Woven Communities project grew out of an initiative and collaboration between a group of Scottish basketmakers, the Scottish Basketmakers Circle, and an anthropologist from the University of Saint Andrews, Dr Stephanie Bunn, The SBC’s aim was to collect together and document all the diverse research conducted about Scottish vernacular basketry. The group had long been conducting research into Scottish vernacular basketry in many ways, learning skills from regional practitioners, researching in their local communities, surveying basket-related plant ecology and visiting museum collections and archives. Stephanie Bunn was both an anthropologist and a willow-weaving practitioner, who was concerned with sustainable craft heritage and the dynamics of craft practice in a changing world. This AHRC award has enabled us all to work together towards these goals and hopefully achieve a great deal more.

[Next to the page, the page also holds materials data]
'''
First-principles (GGA-PBE) data for an optimized crystal structure of Mg12AlAg6, as listed in Alexandria via LeMat-Bulk.

Properties
N(E_F)	22.64	states/eV per cell
energy of formation from the pure elements	-195	kJ/mol of formula units
total DFT energy (no corrections)	-126.0	eV per cell

a b c (Å): 13.1195 13.1195 7.5003
angles (deg): 90.00 90.00 120.00
Space group R-3 (No. 148, hexagonal axes)
Symmetry-distinct sites (fractional):
Mg1 0.0086 0.1393 0.1627
Mg2 0.0657 0.5604 0.1740
Al1 0.0000 0.0000 0.5000
Ag1 0.0302 0.2780 0.8299

~~~~~

[1]
Zn2Ni2Pd | the Alexandria database | meta-GGA SCAN | PBEsol geometry; space group = No. 139; Fermi-level density of states = 0.673 states/eV per atom
1.0
-2.5057 -2.1305 0.2962
1.3873 -1.2532 2.7222
-2.4384 5.6853 1.8568
Zn Pd Ni
2 1 2
direct
0.3972 0.3972 0.7944
0.6028 0.6028 0.2056
0.0000 0.0000 0.0000
0.7500 0.2500 0.5000
0.2500 0.7500 0.5000

[2]
Cd2GeAs4 | the Alexandria database | meta-GGA SCAN | PBEsol geometry; space group = No. 62
1.0
-1.3298 4.7661 5.1756
-2.6359 -5.4193 4.3132
11.6046 -1.8877 4.7200
Cd As Ge
8 16 4
direct
0.5903 0.9682 0.8702
0.5903 0.5318 0.8702
0.9097 0.4682 0.3702
0.4097 0.0318 0.1298
0.0903 0.5318 0.6298
0.4097 0.4682 0.1298
0.9097 0.0318 0.3702
0.0903 0.9682 0.6298
0.9539 0.5162 0.8249
0.9109 0.2500 0.5430
0.0461 0.4838 0.1751
0.1203 0.7500 0.9241
0.0461 0.0162 0.1751
0.4539 0.9838 0.6751
0.9539 0.9838 0.8249
0.3797 0.2500 0.4241
0.8797 0.2500 0.0759
0.5891 0.7500 0.0430
0.5461 0.0162 0.3249
0.6203 0.7500 0.5759
0.4109 0.2500 0.9570
0.0891 0.7500 0.4570
0.5461 0.4838 0.3249
0.4539 0.5162 0.6751
0.0787 0.2500 0.9164
0.9213 0.7500 0.0836
0.5787 0.2500 0.5836
0.4213 0.7500 0.4164

[3]
K2AsRuS | the Alexandria database | meta-GGA SCAN | PBEsol geometry; space group = No. 123; Fermi-level density of states = 1.417 states/eV per atom
1.0
-0.9559 -1.7398 4.1949
1.2723 -5.7836 -2.1087
6.0184 0.7157 1.6682
K S As Ru
2 1 1 1
direct
0.0000 0.5000 0.0000
0.0000 0.0000 0.5000
0.5000 0.0000 0.0000
0.0000 0.0000 0.0000
0.5000 0.5000 0.5000

[4]
LaSb2Au | the Alexandria database | meta-GGA SCAN | PBEsol geometry; space group = No. 12; Fermi-level density of states = 0.540 states/eV per atom
1.0
-1.4329 -2.6461 -3.2577
3.8054 -2.3778 0.7243
-3.7810 -0.5383 4.8856
Sb La Au
2 1 1
direct
0.5000 0.5000 0.5000
0.0000 0.0000 0.5000
0.0000 0.5000 0.0000
'''

During the project, we have gathered new materials through linking up with SBC members who know their local basketry heritage, done scoping tours of museum collections, worked with regional curators, and linked up with botanical gardens, ecologists and sustainable craft heritage specialists. We have researched in libraries and archives across Scotland and drawn on the many wonderful web resources which contribute to our theme. We have built this website, which is still growing. And we have held our Woven Communities Symposium, which you can learn more about through exploring this site.

Through our research on this project, we have come to see that many of us are a part of a longstanding, historical community of basket-makers, basket-researchers and basket enthusiasts who have been renewing and recreating this kind of practice and research from generation to generation. From crofting creel makers to hot air balloon basket-makers, from Highland Home Industries protagonists to historians and arts and gallery promoters, we have all contributed to this ongoing woven community. We would therefore like to thank and acknowledge the basket-makers and their champions today, along with the overlapping and associated communities of curators, botanists, ecologists, archaeologists, anthropologists, and many others, who have been involved with this study, and are concerned with our sustainable craft heritage. We also acknowledge the legacy we inherit from our ancestors, the different communities of practitioners, trades-people, crofters, fisher-folk, Travellers, farm-workers along with researchers, collectors and enthusiasts in the past who have had similar concerns.